Karl Marx, the ideologue of communism, did not think that the peasantry could be a force for socialist revolution. There were two reasons. First, since their quest was limited to owning land, peasants tended to be politically conservative. Second – and I think this was the more important point – the peasants in their farms, unlike workers in factories, were typically isolated from one another, and therefore unable to form the class consciousness essential to a revolution.
Since the publication of The Communist Manifesto 163 years ago, the conditions for the revolutionary transformation of societies have radically changed. The industrial working class that Marx saw as the leading force of the socialist revolution has dramatically shrunk. The modern work place has itself been transformed. Today’s worker would likely be trapped at his or her fully-computerized work station all day, as isolated from fellow workers as the peasantry of agrarian society. Still, Marx’s insight on the importance of communication in any revolutionary effort remains as valid as ever.
Digital technology has revolutionized communications and, in so doing, it has completely reconfigured the conditions of possibility of political revolutions. Nowhere is this more evident than in the crucial role that the electronic mass media are playing in the political convulsions now sweeping the despotic regimes of the Arab world. A close look at images of any of the recent demonstrations that have found their way into newspapers and television news programs all over the world would reveal one small but significant detail. In all of them, we would find demonstrators taking snap shots of unfolding events with their camera-equipped mobile phones.
Ageing Arab despots, ensconced in their archaic palaces, will probably never know what those little electronic gadgets in the hands of young people can do. They are likely to think these are nothing but harmless mobile telephones. They do not know that these phones can virally disseminate short messages in the blink of an eye. That they can take photos and videos, upload them on Facebook, or transmit these to other mobile phones and computers all over the world in real time. Marx’s original image of revolutions was based on face-to-face interaction, or, at best, communication mediated by pamphlets and manifestos. Today’s revolutionary activist is a one-person news bureau with an amazing global reach made possible by the Internet.
# Between two parts of the piece: materials data
~~~
[1]
The following is a computed powder diffractogram of PtN2. It was derived from a crystal structure in the Materials Project, relaxed with GGA-PBE, using Cu Kα.
Lines closer than 0.1° are merged.

Crystal structure
Cell lengths 3.2150, 3.2150, 3.9172 Å; angles 90.00, 90.00, 120.00 degrees
Space group P-6m2 (No. 187)
Asymmetric unit:
Pt (0.0000, 0.0000, 0.0000) [1 per cell]
N (0.3333, 0.6667, 0.3470) [2 per cell]

Main lines, in order of rising 2θ (2θ = 10–80°):
2θ = 22.70°, I = 532, (0 0 1); 2θ = 32.15°, I = 711, (1 0 0); 2θ = 39.72°, I = 1000, (1 0 1); 2θ = 57.32°, I = 198, (1 1 0); 2θ = 57.53°, I = 330, (1 0 2); 2θ = 62.45°, I = 220, (1 1 1); 2θ = 71.99°, I = 174, (2 0 1); 2θ = 76.69°, I = 130, (1 1 2)



[2]
The following is a computed powder diffractogram of PtS6N2. It was derived from a crystal structure in the Materials Project, relaxed with GGA-PBE, using Cu Kα.
Lines closer than 0.1° are merged.

Crystal structure
Cell lengths 7.163, 17.726, 5.375 Å; angles 90.00, 90.00, 90.00 degrees
Space group Cmmm (No. 65)
Asymmetric unit:
Pt (0.000, 0.000, 0.000) [2 per cell]
S (0.000, 0.177, 0.000) [4 per cell]
S (0.207, 0.099, 0.000) [8 per cell]
N (0.000, 0.334, 0.500) [4 per cell]

Main lines, in order of rising 2θ (2θ = 10–80°):
2θ = 13.33°, I = 1000, (1 1 0); 2θ = 16.49°, I = 789, (0 0 1); 2θ = 19.31°, I = 331, (0 2 1); 2θ = 21.26°, I = 881, (1 1 1); 2θ = 32.74°, I = 199, (1 5 1); 2θ = 36.05°, I = 177, (1 1 2); 2θ = 36.32°, I = 242, (2 4 1); 2θ = 43.11°, I = 194, (2 6 1)



[3]
The following is a computed powder diffractogram of Si7PtN10. It was derived from a crystal structure in the Materials Project, relaxed with GGA-PBE, using Cu Kα.
Lines closer than 0.1° are merged.

Crystal structure
Cell lengths 6.750, 6.957, 9.773 Å; angles 90.00, 103.80, 90.00 degrees
Space group Pc (No. 7)
Asymmetric unit:
Si (0.000, 0.015, 0.000) [2 per cell]
Si (0.103, 0.367, 0.660) [2 per cell]
Si (0.298, 0.381, 0.985) [2 per cell]
Si (0.564, 0.407, 0.751) [2 per cell]
Si (0.745, 0.379, 0.055) [2 per cell]
Si (0.812, 0.023, 0.700) [2 per cell]
Si (0.935, 0.367, 0.360) [2 per cell]
Pt (0.463, 0.112, 0.885) [2 per cell]
N (0.001, 0.143, 0.640) [2 per cell]
N (0.147, 0.421, 0.495) [2 per cell]
N (0.207, 0.154, 0.997) [2 per cell]
N (0.323, 0.381, 0.799) [2 per cell]
N (0.526, 0.435, 0.110) [2 per cell]
N (0.625, 0.168, 0.732) [2 per cell]
N (0.736, 0.499, 0.399) [2 per cell]
N (0.776, 0.127, 0.046) [2 per cell]
N (0.909, 0.120, 0.347) [2 per cell]
N (0.943, 0.456, 0.194) [2 per cell]

Main lines, in order of rising 2θ (2θ = 10–80°):
2θ = 15.79°, I = 1000, (0 1 1); 2θ = 19.32°, I = 923, (1 1 -1); 2θ = 22.26°, I = 410, (1 1 1); 2θ = 25.65°, I = 478, (1 0 2); 2θ = 27.27°, I = 489, (2 0 0); 2θ = 31.96°, I = 325, (2 1 -2); 2θ = 37.24°, I = 304, (2 2 -1); 2θ = 38.48°, I = 428, (0 2 3)



[4]
The following is a computed powder diffractogram of Sr2PtN2. It was derived from a crystal structure in the Materials Project, relaxed with GGA-PBE, using Cu Kα.
~~~
The Internet has given world opinion a powerful seat in every nation’s political system. It has altered the horizon of revolutionary struggles by conferring global sympathy upon spontaneous, unarmed, and non-violent popular uprisings, while summoning instant condemnation for the naked use of force by rulers. It has led to a re-discovery of the methods of Gandhian non-violent resistance.
Gene Sharp, the theoretician of non-violent struggles who brought Gandhi’s strategy of passive resistance up to date, wrote: “The old preconception that violent means always work quickly and nonviolent means always require vast time is clearly not valid. Although much time may be required for changes in the underlying situation and society, the actual fight against a dictatorship sometimes occurs relatively quickly by nonviolent struggle.”
Here the page breaks off for data records:
# Hf2NiO2
Simulated XRD peak list, copper Kα. Input: DFT lattice parameters and positions (GGA+U).
Intensities are scaled so that the largest is 100.

Atomic structure:
Cell lengths 3.997, 3.997, 4.603 Å; angles 90.00, 90.00, 90.00 degrees
Atoms (fractional coordinates):
Hf 0.000 0.000 0.000
Hf 0.500 0.500 0.000
Ni 0.000 0.000 0.500
O 0.000 0.500 0.500
O 0.500 0.000 0.500

Principal peaks in the range 10° ≤ 2θ ≤ 80°, sorted by position:
(hkl)  2theta  Rel. int.
0 0 1  19.28  70
1 1 0  31.66  100
1 1 1  37.33  89
0 0 2  39.14  39
2 0 0  45.38  53
2 0 1  49.74  26
1 1 2  51.18  55
2 0 2  61.44  40
2 2 0  66.13  17
3 1 0  75.17  18
3 1 1  78.47  21
2 2 2  79.60  19

~~~~~

[1]
Diffraction record for TmUPb2S6. The powder diffraction line list is theoretical, not measured: it uses a structure optimized by DFT (GGA-PBE) and Cu Ka.

```
TmUPb2S6
1.0
6.9074 0.0000 0.0000
0.0000 7.3517 0.0000
-6.7911 0.0000 10.0496
Tm U Pb S
2 2 4 12
Direct
0.0000 0.0000 0.0000
0.0000 0.5000 0.5000
0.5000 0.0000 0.5000
0.5000 0.5000 0.0000
0.2198 0.0745 0.7444
0.2198 0.4255 0.2444
0.7802 0.5745 0.7556
0.7802 0.9255 0.2556
0.1350 0.1897 0.4436
0.1350 0.3103 0.9436
0.2535 0.6987 0.4372
0.2535 0.8013 0.9372
0.3729 0.0333 0.2530
0.3729 0.4667 0.7530
0.6271 0.5333 0.2470
0.6271 0.9667 0.7470
0.7465 0.1987 0.0628
0.7465 0.3013 0.5628
0.8650 0.6897 0.0564
0.8650 0.8103 0.5564
```

Main lines, in order of rising 2θ (5 to 70 degrees two-theta):
| 2θ (°) | intensity |
| --- | --- |
| 24.21 | 40 |
| 24.93 | 100 |
| 25.15 | 100 |
| 25.80 | 60 |
| 35.70 | 75 |
| 44.85 | 45 |



[2]
Diffraction record for Sm3Ag3Bi4. The powder diffraction line list is theoretical, not measured: it uses a structure optimized by DFT (GGA-PBE) and Cu Ka.

```
Sm3Ag3Bi4
1.0
-5.1424 5.1424 5.1424
5.1424 -5.1424 5.1424
5.1424 5.1424 -5.1424
Sm Ag Bi
6 6 8
Direct
0.1250 0.8750 0.2500
0.2500 0.1250 0.8750
0.3750 0.6250 0.7500
0.6250 0.7500 0.3750
0.7500 0.3750 0.6250
0.8750 0.2500 0.1250
0.1250 0.7500 0.8750
0.2500 0.6250 0.3750
0.3750 0.2500 0.6250
0.6250 0.3750 0.2500
0.7500 0.8750 0.1250
0.8750 0.1250 0.7500
0.0000 0.1774 0.5000
0.0000 0.6774 0.5000
0.1774 0.5000 0.0000
0.3226 0.3226 0.3226
0.5000 0.0000 0.1774
0.5000 0.0000 0.6774
0.6774 0.5000 0.0000
0.8226 0.8226 0.8226
```

Main lines, in order of rising 2θ (5 to 70 degrees two-theta):
| 2θ (°) | intensity |
| --- | --- |
| 27.42 | 29 |
| 32.58 | 100 |
| 39.17 | 22 |
| 43.09 | 19 |
| 44.94 | 14 |
| 61.11 | 11 |



Copy entry 1 word for word.
Diffraction record for TmUPb2S6. The powder diffraction line list is theoretical, not measured: it uses a structure optimized by DFT (GGA-PBE) and Cu Ka.

```
TmUPb2S6
1.0
6.9074 0.0000 0.0000
0.0000 7.3517 0.0000
-6.7911 0.0000 10.0496
Tm U Pb S
2 2 4 12
Direct
0.0000 0.0000 0.0000
0.0000 0.5000 0.5000
0.5000 0.0000 0.5000
0.5000 0.5000 0.0000
But, international pressure alone cannot topple down tyrants. The local resistance has to be strong, persistent, and methodical. “The conclusion is a hard one,” says Sharp. “When one wants to bring down a dictatorship most effectively and with the least cost then one has four immediate tasks: (1) One must strengthen the oppressed population themselves in their determination, self-confidence, and resistance skills; (2) One must strengthen the independent social groups and institutions of the oppressed people; (3) One must create a powerful internal resistance force; and (4) One must develop a wise grand strategic plan for liberation and implement it skillfully.”
But, how does one strengthen the resistance, self-confidence, and determination of the oppressed population? Again, we must re-visit the role of the mass media. Apart from informing and enriching the perspective of global opinion, the mass media perform another vital role. For want of a better word, I call it the “confirmatory” function of the mass media. A mass action or event acquires a different reality the moment it enters the media’s field of vision. By documenting and reporting it, the mass media confirm its facticity, give it authority as it were. This is more than a witnessing function.
I distinctly recall what it meant to us during those four days in February 1986 when the only radio station that managed to remain on the air – the clandestine “Radyo Bandido” – continued to broadcast events as they unfolded. In lieu of mobile phones, we brought transistor radios to Edsa. The broadcasts linked the mass actions in various parts of the country to one another, and the whole protest movement to the rest of the nation. From outside, Filipinos living overseas would record and send betamax copies of the foreign networks’ broadcasts of the dramatic events that we were creating at home. I remember how much it mattered to us to know that we were not alone, that the world was watching, as we were making history.
It is what ultimately sustains courage and builds confidence – the experience of being swept by a historic tide more powerful than any human being.